Develop a research question on a focused topic and identify sources. Write an explanation of the process of locating sources.

At this time I am tasked to complete part one of a three part assignment. Developing a theme: I have though about developing a question as it applies to the theme of: Origins of the European Union. I will leave it up to you the writer to develop a question question for the assignment as […]

_Data records that have nothing to do with the text_
- - -
Record 1
A relaxed NaZr2Sc2P3S3O24 crystal. Source: the Materials Project database, functional PBE.

Computed properties:
Its crystal system is triclinic. The total moment comes out at 0.0 μB/f.u. Its energy with MP2020 corrections is -7.962 eV per atom.

Unit cell a=8.8901 b=8.8909 c=23.2181 alpha=90.02 beta=90.17 gamma=119.92
Closest atoms and distances in Å follow each position.
Space group P1 (No. 1)
Unique sites:
Na 0.0000 0.0000 0.0000 x1  5 O 2.50-2.74
Na 0.0242 0.0059 0.4947 x1  6 O 2.52-2.80
Na 0.3501 0.6650 0.1575 x1  5 O 2.48-2.77
Zr 0.3442 0.6795 0.8109 x1  6 O 2.00-2.19
Zr 0.3527 0.6821 0.3085 x1  6 O 2.03-2.21
Zr 0.6707 0.3399 0.4736 x1  6 O 2.03-2.18
Zr 0.6789 0.3433 0.1847 x1  6 O 2.05-2.15
Zr 0.6811 0.3488 0.6818 x1  6 O 2.00-2.17
Zr 0.6929 0.3484 0.9742 x1  6 O 2.01-2.24
Sc 0.0028 0.0143 0.1425 x1  5 O 2.00-2.22
Sc 0.0053 0.0033 0.8521 x1  6 O 2.01-2.20
Sc 0.0196 0.0088 0.6404 x1  6 O 2.03-2.18
Sc 0.0229 0.0186 0.3459 x1  5 O 1.97-2.18
Sc 0.3365 0.6750 0.5202 x1  6 O 2.01-2.23
Sc 0.3490 0.6768 0.0167 x1  6 O 2.04-2.16
P 0.0616 0.6825 0.9142 x1  4 O 1.52-1.57
P 0.2983 0.2972 0.2449 x1  4 O 1.53-1.57
P 0.3375 0.9585 0.4150 x1  4 O 1.53-1.56
P 0.3866 0.3420 0.5786 x1  4 O 1.51-1.57
P 0.6357 0.9623 0.9146 x1  4 O 1.52-1.57
P 0.6801 0.6341 0.0793 x1  4 O 1.54-1.56
P 0.7266 0.0088 0.2463 x1  4 O 1.53-1.58
P 0.9665 0.6329 0.5783 x1  4 O 1.52-1.57
P 0.9744 0.3447 0.0799 x1  4 O 1.54-1.56
S 0.0127 0.2936 0.7459 x1  4 O 1.47-1.49
S 0.0146 0.7225 0.2457 x1  4 O 1.46-1.50
S 0.0578 0.3835 0.4143 x1  4 O 1.47-1.49
S 0.3003 0.0099 0.7462 x1  4 O 1.46-1.49
S 0.3421 0.3826 0.9131 x1  4 O 1.46-1.50
S 0.3864 0.0504 0.0792 x1  4 O 1.47-1.49
S 0.6387 0.6821 0.4145 x1  4 O 1.46-1.50
S 0.6817 0.0521 0.5793 x1  4 O 1.46-1.49
S 0.7250 0.7227 0.7459 x1  4 O 1.47-1.50
O 0.0346 0.2075 0.4082 x1  1 S 1.48
O 0.0394 0.2133 0.6944 x1  1 S 1.47
O 0.0411 0.8429 0.9047 x1  1 P 1.54
O 0.0438 0.8278 0.1943 x1  1 S 1.46
O 0.1378 0.4877 0.3620 x1  1 S 1.48
O 0.1438 0.6488 0.5715 x1  1 P 1.52
O 0.1461 0.6545 0.8589 x1  1 P 1.57
O 0.1530 0.5084 0.0738 x1  1 P 1.54
O 0.1666 0.4653 0.4654 x1  1 S 1.47
O 0.1665 0.4685 0.7546 x1  1 S 1.49
O 0.1690 0.6975 0.2528 x1  1 S 1.50
O 0.1743 0.7067 0.9665 x1  1 P 1.52
O 0.1789 0.9823 0.4076 x1  1 P 1.54
O 0.1850 0.2132 0.1919 x1  1 P 1.53
O 0.1879 0.2092 0.9045 x1  1 S 1.48
O 0.1925 0.9808 0.6944 x1  1 S 1.47
O 0.2063 0.1789 0.5865 x1  1 P 1.54
O 0.2132 0.0319 0.0850 x1  1 S 1.47
O 0.2191 0.1896 0.2998 x1  1 P 1.54
O 0.2218 0.0378 0.7974 x1  1 S 1.46
O 0.3135 0.4626 0.9639 x1  1 S 1.46
O 0.3171 0.8464 0.4677 x1  1 P 1.53
O 0.3199 0.4814 0.2544 x1  1 P 1.57
O 0.3203 0.8543 0.7538 x1  1 S 1.49
O 0.3638 0.8727 0.3605 x1  1 P 1.56
O 0.3674 0.4899 0.8605 x1  1 S 1.50
O 0.3722 0.8775 0.0746 x1  1 S 1.48
O 0.3749 0.5041 0.5692 x1  1 P 1.51
O 0.4706 0.1560 0.0274 x1  1 S 1.48
O 0.4749 0.3089 0.5262 x1  1 P 1.56
O 0.4760 0.1616 0.7371 x1  1 S 1.48
O 0.4807 0.3207 0.2359 x1  1 P 1.54
O 0.4935 0.1346 0.1312 x1  1 S 1.49
- - -
_The text goes on_

What are some of the most important indicators that an item should be dropped from a test? Identify characteristics of a test item that would indicate that it should be dropped from a test.

What are some of the most important indicators that an item should be dropped from a test? Identify characteristics of a test item that would indicate that it should be dropped from a test. Explain the consequences if a test developer did not identify how well each item in a test was functioning both quantitatively […]

Demonstrate the role of the global citizen by designing care for individuals, groups, and communities by incorporating methods of health promotion and education.

Misplaced materials data.
- - -
# Tb2Mo3O12 (r²SCAN, optimized geometry)
data_Tb2Mo3O12
_chemical_formula_sum 'Tb4 Mo6 O24'
_cell_length_a 7.371
_cell_length_b 7.371
_cell_length_c 10.589
_cell_angle_alpha 90.00
_cell_angle_beta 90.00
_cell_angle_gamma 90.00
_symmetry_space_group_name_H-M 'P 1'
_symmetry_Int_Tables_number 1
_symmetry_space_group_name_Hall 'P 1'
loop_
_atom_site_label
_atom_site_type_symbol
_atom_site_fract_x
_atom_site_fract_y
_atom_site_fract_z
_atom_site_occupancy
Tb1 Tb 0.187 0.687 0.261 1
Tb2 Tb 0.813 0.313 0.261 1
Tb3 Tb 0.687 0.813 0.739 1
Tb4 Tb 0.313 0.187 0.739 1
Mo1 Mo 0.207 0.707 0.644 1
Mo2 Mo 0.793 0.293 0.644 1
Mo3 Mo 0.707 0.793 0.356 1
Mo4 Mo 0.293 0.207 0.356 1
Mo5 Mo 0.000 0.000 0.000 1
Mo6 Mo 0.500 0.500 0.000 1
O1 O 0.195 0.695 0.479 1
O2 O 0.805 0.305 0.479 1
O3 O 0.695 0.805 0.521 1
O4 O 0.305 0.195 0.521 1
O5 O 0.626 0.126 0.690 1
O6 O 0.374 0.874 0.690 1
O7 O 0.126 0.374 0.310 1
O8 O 0.874 0.626 0.310 1
O9 O 0.775 0.004 0.296 1
O10 O 0.225 0.996 0.296 1
O11 O 0.504 0.275 0.296 1
O12 O 0.496 0.725 0.296 1
O13 O 0.004 0.225 0.704 1
O14 O 0.996 0.775 0.704 1
O15 O 0.725 0.504 0.704 1
O16 O 0.275 0.496 0.704 1
O17 O 0.810 0.960 0.904 1
O18 O 0.190 0.040 0.904 1
O19 O 0.460 0.310 0.904 1
O20 O 0.540 0.690 0.904 1
O21 O 0.960 0.190 0.096 1
O22 O 0.040 0.810 0.096 1
O23 O 0.690 0.460 0.096 1
O24 O 0.310 0.540 0.096 1
# SG	P-42_1m
# energy of formation	-46.9	eV per formula unit

=====

DFT (GGA-PBE) results for an optimized crystal structure of CaAl2Si6O21.

Lattice parameters (Å, degrees): 17.128 7.399 7.646 72.28 90.00 90.00
Positions (direct):
Ca 0.765 0.180 0.303
Ca 0.265 0.820 0.697
Al 0.636 0.595 0.250
Al 0.136 0.405 0.750
Al 0.900 0.258 0.931
Al 0.400 0.742 0.069
Si 0.976 0.640 0.655
Si 0.476 0.360 0.345
Si 0.629 0.624 0.666
Si 0.129 0.376 0.334
Si 0.761 0.530 0.970
Si 0.261 0.470 0.030
Si 0.561 0.875 0.872
Si 0.061 0.125 0.128
Si 0.893 0.831 0.904
Si 0.393 0.169 0.096
Si 0.504 0.287 0.754
Si 0.004 0.713 0.246
O 0.571 0.398 0.310
O 0.071 0.602 0.690
O 0.655 0.656 0.453
O 0.155 0.344 0.547
O 0.719 0.496 0.171
O 0.219 0.504 0.829
O 0.604 0.782 0.067
O 0.104 0.218 0.933
O 0.945 0.808 0.735
O 0.445 0.192 0.265
O 0.932 0.442 0.744
O 0.432 0.558 0.256
O 0.959 0.717 0.433
O 0.459 0.283 0.567
O 0.700 0.527 0.807
O 0.200 0.473 0.193
O 0.605 0.824 0.702
O 0.105 0.176 0.298
O 0.554 0.481 0.716
O 0.054 0.519 0.284
O 0.808 0.728 0.903
O 0.308 0.272 0.097
O 0.815 0.337 0.017
O 0.315 0.663 0.983
O 0.970 0.203 0.111
O 0.470 0.797 0.889
O 0.563 0.106 0.824
O 0.063 0.894 0.176
O 0.878 0.051 0.881
O 0.378 0.949 0.119
O 0.937 0.715 0.096
O 0.437 0.285 0.904
O 0.746 0.233 0.633
O 0.246 0.767 0.367
O 0.773 0.850 0.322
O 0.273 0.150 0.678
O 0.794 0.362 0.565
O 0.294 0.638 0.435
O 0.625 0.121 0.333
O 0.125 0.879 0.667
O 0.904 0.090 0.368
O 0.404 0.910 0.632

Summary:
DFT total energy: -6.98 eV/atom
density: 2.154 g/cm3
E_form: -2.225 eV per atom
space group: P2_1, No. 4
- - -
So much for the materials data.

Capstone Project Projected Project Proposal Submission Description:The baccalaureate graduate will participate in quality initiatives, recognizing that these are complex system issues, involving other members of the healthcare team. Course Competency(ies):3) Demonstrate leadership roles on multidisciplinary teams within healthcare organizations. 4) Demonstrate the role of the global citizen by designing care for individuals, groups, and communities […]

Illustrate how the critical views of either Susan L. Meyer or Katherine Linehan are relevant to your discussion.

Consider the validity of this statement by comparing Jane Eyre with The Strange Case of Dr. Jekyll and Mr. Hyde. Be sure to provide good evidence from both novels and explain how it supports your argument. You must also briefly illustrate how the critical views of either Susan L. Meyer or Katherine Linehan are relevant […]

Discuss recent findings that have advanced our knowledge of how it might be possible to restore hearing after damage.

List the three main functions of the cochlea, describing the anatomical and physiological basis of all three of those functions with the help of illustrations. Discuss recent findings that have advanced our knowledge of how it might be possible to restore hearing after damage.

Select three advertisements from three different countries using traditional advertising venues and Internet advertising venues. Assess how culture and ethics influence understanding the ad from each country.

Select three advertisements from three different countries using traditional advertising venues and Internet advertising venues. Assess how culture and ethics influence understanding the ad from each country. Incorporate concepts and examples

Identify ad describe the health and safety legislation pertinent to a child care setting

Write about the following: 2.1 – Identify ad describe the health and safety legislation pertinent to a child care setting 2.2 – Explain the differences between a hazard and a risk 2.3 – Explain how food should be stored to avoid cross contamination 2.4 – Outline the basic procedure when carrying out CPR

Why is there a gender gap in Mathematics in schools in the UK? What are the effective responses to this gap?

Why is there a gender gap in Mathematics in schools in the UK? What are the effective responses to this gap? Introduction – Literature Review Strategy Gender gap in Mathematics (at what age level?) is a topic that interested many researchers and educationalists for a long time, each of them approaching it from different perspectives. […]

Evaluate the impact that this document may have on historians trying to relay the challenges/success people faced during the historical period?

You will also write a reaction paper to the news article on the Triangle Fire no less than 500 words. *Note: be sure to discuss the why this is a primary source, what happened, why did it happen and what was the result and the lasting effect on the United States. Evaluate the impact that […]

• Crystal structures from another source follow:
+++
Record 1
# Zn3Cd3Te2O12

An optimized crystal structure of Zn3Cd3Te2O12 (r²SCAN, Materials Project).

Properties
- uncorrected energy (eV per atom) = -11.905
- formation enthalpy at 0 K (meV/atom) = -1427

Cell lengths 10.8611, 10.8611, 10.8611 Å; angles 109.47, 109.47, 109.47 degrees
Fractional positions:
1 O 0.0954 0.9771 0.6695
2 Cd 0.3750 0.1250 0.2500
3 Cd 0.8750 0.6250 0.2500
4 Te 0.0000 0.0000 0.5000
5 O 0.3305 0.9259 0.3076
6 O 0.1695 0.4771 0.5954
7 Zn 0.7500 0.8750 0.1250
8 O 0.8817 0.4046 0.0741
9 Te 0.5000 0.0000 0.5000
10 O 0.5954 0.1695 0.4771
11 Zn 0.6250 0.7500 0.3750
12 Zn 0.2500 0.6250 0.3750
13 O 0.0741 0.8817 0.4046
14 O 0.3817 0.5741 0.9046
15 Cd 0.2500 0.3750 0.1250
16 Cd 0.1250 0.3750 0.7500
17 O 0.1924 0.1183 0.0229
18 Zn 0.1250 0.8750 0.2500
19 O 0.3305 0.9046 0.0229
20 O 0.9771 0.8076 0.8817
21 O 0.8305 0.8076 0.4259
22 O 0.6183 0.6924 0.5229
23 O 0.6183 0.4259 0.0954
24 Zn 0.8750 0.1250 0.7500
25 O 0.0229 0.1924 0.1183
26 Te 0.5000 0.5000 0.0000
27 O 0.4259 0.0954 0.6183
28 Cd 0.6250 0.2500 0.8750
29 Zn 0.6250 0.3750 0.2500
30 O 0.6695 0.0954 0.9771
31 O 0.8076 0.4259 0.8305
32 O 0.8817 0.9771 0.8076
33 O 0.1695 0.1924 0.5741
34 Cd 0.3750 0.7500 0.1250
35 O 0.9046 0.3817 0.5741
36 Te 0.0000 0.0000 0.0000
37 O 0.4771 0.3817 0.3076
38 O 0.9046 0.0229 0.3305
39 Zn 0.3750 0.6250 0.7500
40 Cd 0.6250 0.8750 0.7500
41 O 0.5954 0.9259 0.1183
42 Cd 0.8750 0.7500 0.6250
43 O 0.5741 0.1695 0.1924
44 Cd 0.7500 0.1250 0.3750
45 O 0.9771 0.6695 0.0954
46 Zn 0.8750 0.2500 0.1250
47 O 0.6924 0.6695 0.0741
48 O 0.6695 0.0741 0.6924
49 O 0.1183 0.5954 0.9259
50 O 0.3076 0.3305 0.9259
51 O 0.8305 0.5229 0.4046
52 Cd 0.7500 0.6250 0.8750
53 O 0.1924 0.5741 0.1695
54 O 0.1183 0.0229 0.1924
55 O 0.4771 0.5954 0.1695
56 O 0.5229 0.4046 0.8305
57 Te 0.5000 0.0000 0.0000
58 Cd 0.2500 0.8750 0.6250
59 Te 0.0000 0.5000 0.0000
60 O 0.0229 0.3305 0.9046
61 Te 0.0000 0.5000 0.5000
62 O 0.5229 0.6183 0.6924
63 O 0.4046 0.0741 0.8817
64 O 0.9259 0.1183 0.5954
65 Zn 0.7500 0.3750 0.6250
66 O 0.5741 0.9046 0.3817
67 O 0.9259 0.3076 0.3305
68 O 0.4046 0.8305 0.5229
69 Cd 0.1250 0.2500 0.3750
70 O 0.3817 0.3076 0.4771
71 O 0.0954 0.6183 0.4259
72 O 0.8076 0.8817 0.9771
73 Zn 0.2500 0.1250 0.8750
74 Te 0.5000 0.5000 0.5000
75 Zn 0.3750 0.2500 0.6250
76 O 0.6924 0.5229 0.6183
77 O 0.4259 0.8305 0.8076
78 O 0.0741 0.6924 0.6695
79 Zn 0.1250 0.7500 0.8750
80 O 0.3076 0.4771 0.3817

---

Record 2
# Tb3P4Pd7

An optimized crystal structure of Tb3P4Pd7 (r²SCAN, Materials Project).

Properties
- uncorrected energy (eV per atom) = -21.812
- formation enthalpy at 0 K (meV/atom) = -1068

Cell lengths 3.9979, 8.1762, 7.9267 Å; angles 71.22, 75.38, 75.86 degrees
Fractional positions:
1 Pd 0.8325 0.4201 0.9144
2 Pd 0.4900 0.2839 0.7355
3 Pd 0.5100 0.7161 0.2645
4 Pd 0.1675 0.5799 0.0856
5 P 0.1056 0.1812 0.6075
6 P 0.3409 0.2534 0.0645
7 Tb 0.3197 0.6766 0.6842
8 Tb 0.6803 0.3234 0.3158
9 Pd 0.0000 0.5000 0.5000
10 P 0.6591 0.7466 0.9355
11 Pd 0.3042 0.0305 0.3606
+++

Give a synopsis of the article, and give your opinion about the article (one paragraph). You should also include a working link to the article and any references that you use.

Go to the web and find an article about a law suit that deals with business ethics. Give a synopsis (at least 2 paragraphs) of the article, and give your opinion about the article (one paragraph). You should also include a working link to the article and any references that you use.